Well, it’s been awhile since my last blog. I figured now was as good of time as any to update how the past few months have been going. Let’s see, the move to Flagstaff went well, as planned. I’m already 10 weeks into base training with the team! It’s going exactly how I had expected it to go and actually better. That doesn’t happen very often in a runner’s career so I’m very thankful that it has played out how it has. My first week in Flag I had prepared myself for a hard transition with the altitude adjustment but I actually jumped right into mileage and workouts without a hitch. I picked up right where I left off with coach Kepler in Utah. I keep surprising myself with the amount of volume I’m able to do. With every step of the way I try to challenge myself just enough to get just a little bit better daily. This year has been an amazing one and it seems to just keep on getting better and better. Consistently, I’ve hit around 80 miles for the past 4-5 weeks. This is quite a change from last fall. Last fall I hit 70 once and thought I was going to die. I’m totally consuming my life with running; this is something that has been hard for me in the past. Going to bed at 9 and getting my 9-10 hours of sleep is pretty standard for me these days!
Data records, kept here for reference =
┌──
The following is a DFT calculation (ωB97M-V/def2-TZVPD) of a structure of composition C50H68Cl2F4Mg2N4O13 at a distorted geometry.

Last column: Mulliken charge in e.
Geometry (Å):
C  -6.0007  -0.1555  6.3987  -0.908
C  -4.8911  1.0091  6.1056  -0.398
C  -4.6286  1.0808  4.4967  -0.303
C  -3.5795  -0.0940  4.1474  -0.115
C  -3.5848  -0.5521  2.6011  -0.164
C  -2.6305  -1.8559  2.3487  -0.512
C  -1.0965  -1.3270  2.2635  -0.180
C  -0.0343  -2.5219  1.9316  0.023
C  0.2494  -2.5671  0.3496  -0.739
C  1.7996  -2.5812  -0.0757  0.318
C  2.6601  -3.7275  0.6847  -0.122
N  3.3019  -4.7201  0.9506  -0.565
C  2.6010  -1.1964  0.1762  1.542
C  3.2098  -1.2946  1.6841  -0.559
N  3.5970  -1.3074  2.8372  -0.567
C  1.7070  0.1338  0.0640  -0.511
C  1.0337  0.3833  -1.3705  -0.131
O  0.7586  1.8382  -1.5686  -0.233
C  1.8874  2.4586  -2.1710  0.402
O  2.7938  2.9415  -1.3788  -0.550
C  2.1334  2.6331  -3.7413  -0.135
C  1.1719  1.7288  -4.6734  -0.430
C  3.7927  -1.1424  -0.9207  -0.282
C  5.2556  -0.7454  -0.0893  -0.234
C  5.3578  0.8655  0.3840  -0.254
O  6.1833  0.2122  -0.8169  -0.420
H  -6.0005  -0.8275  5.4661  0.238
H  -5.6478  -0.7464  7.3203  0.240
H  -7.0302  0.2744  6.6572  0.318
H  -3.8934  0.7323  6.6275  0.229
H  -5.2902  2.0004  6.5230  0.313
H  -5.6330  0.9989  3.9514  0.373
H  -4.1504  2.1121  4.2968  -0.143
H  -3.8694  -1.0059  4.7772  0.107
H  -2.5282  0.2741  4.4409  0.106
H  -4.6692  -0.7412  2.2394  0.397
H  -3.2224  0.3693  1.9870  -0.279
H  -2.8172  -2.5919  3.2027  0.401
H  -2.9031  -2.2516  1.3055  0.252
H  -1.1057  -0.4997  1.4501  -0.118
H  -0.8788  -0.8204  3.2825  0.073
H  -0.5962  -3.4990  2.2106  0.499
H  0.8974  -2.4960  2.5940  -0.254
H  -0.3526  -1.7240  -0.1383  -0.062
H  -0.2056  -3.5542  -0.0611  0.472
H  1.8207  -2.7582  -1.2238  0.533
H  0.8799  0.0645  0.8524  -0.082
H  2.3601  1.0533  0.3402  0.342
H  1.6673  0.0598  -2.2681  0.135
H  0.0025  -0.1254  -1.5005  0.103
H  3.2477  2.4161  -3.9834  0.372
H  1.9410  3.7444  -4.0283  0.391
H  0.5553  2.4533  -5.3678  0.094
H  1.7736  1.0317  -5.3811  -0.095
H  0.4334  1.1682  -3.9992  0.333
H  3.6997  -0.2955  -1.6823  -0.189
H  3.9608  -2.1812  -1.3706  0.578
H  5.7177  -1.5755  0.6534  0.449
H  4.5484  1.5927  0.0477  -0.036
H  5.8931  0.8352  1.3888  0.344
Mg  3.1191  4.7872  -0.8374  0.570
C  2.0844  -2.0811  -5.4700  -0.002
Cl  0.4793  -1.3876  -5.1797  -0.132
Cl  3.2273  -0.8468  -6.0173  -0.154
H  2.4528  -2.5188  -4.5429  0.181
H  2.0016  -2.8529  -6.2357  0.299
C  -3.1071  -4.1877  -8.8317  -0.512
C  -3.7987  -5.2348  -9.4390  -0.493
C  -3.3820  -6.5483  -9.2481  -0.629
C  -2.2644  -6.8181  -8.4586  0.465
C  -1.5572  -5.7681  -7.8705  0.399
C  -1.9888  -4.4520  -8.0498  -0.604
C  -0.3406  -6.0366  -7.0712  0.426
O  0.2759  -5.1195  -6.5536  -0.713
C  0.1206  -7.4325  -6.9156  0.386
C  1.3002  -7.6980  -6.2111  -0.636
C  1.7330  -9.0074  -6.0494  -0.531
C  0.9871  -10.0613  -6.5814  -0.449
C  -0.1847  -9.8012  -7.2883  -0.600
C  -0.6146  -8.4876  -7.4648  0.434
└──
I’ve been doing a lot of traveling the past few months. The “Brooks Beasts” had a photo shoot in Portland for the Fall 2011 Apparel catalog. It was so great to meet a few of my new family members of Brooks. The Beasts were back in action this past month in Austin for the Brooks sales meeting. Being part of that was so much fun. We were able to meet so many of the people that are the brains behind the brand. I’m so excited to be part of such a passionate group of people. It’s so amazing to be able to see these people hard at work trying to make our brand number one! Also, while we were in Austin we got to meet with the Flotrack crew and film some stuff for the new PR spike series that are coming out soon for high school athletes. They also helped us learn even more about social media.
┌──
[1]
The following is a quantum chemistry calculation of the molecule C30H36FNO, from the OMol25 dataset.

The relative energy (zero: lowest compared OMol25 entry of this formula, charge and spin) is 0.0 kcal per mole. The value obtained for the LUMO energy is 0.521 eV. As for the HOMO energy: -8.493 eV. The total energy comes out at -1394.64489 a.u. As for the spin multiplicity: 1. Its SMILES is CCCCCC/C=C/c1ccc([C@H]2[C@H]3C=CC[C@@H](C)[C@@H]3C(=O)N2Cc2ccccc2)c(F)c1. Its charge is 0.

Each line ends with the Mulliken charge.
Geometry (Å):
C (5.995, -1.663, 2.267)  -1.148
C (6.351, -3.103, 2.617)  -0.469
C (5.825, -4.117, 1.601)  -0.683
C (4.302, -4.222, 1.588)  -0.285
C (3.816, -5.311, 0.635)  -0.766
C (2.285, -5.395, 0.602)  -1.076
C (1.684, -4.142, 0.061)  -0.462
C (0.863, -3.349, 0.745)  -0.165
C (0.265, -2.105, 0.284)  1.421
C (-0.467, -1.326, 1.183)  -1.386
C (-1.048, -0.134, 0.799)  -0.066
C (-0.930, 0.335, -0.503)  -0.089
C (-1.566, 1.618, -0.973)  -0.192
C (-2.995, 1.429, -1.519)  0.008
C (-3.376, 0.213, -2.296)  -0.849
C (-4.622, -0.231, -2.226)  -0.746
C (-5.703, 0.365, -1.369)  -0.875
C (-5.309, 1.647, -0.610)  0.478
C (-6.190, 1.850, 0.618)  -1.712
C (-3.837, 1.511, -0.247)  -0.093
C (-3.105, 2.590, 0.539)  0.131
O (-3.525, 3.324, 1.406)  -0.734
N (-1.818, 2.546, 0.114)  0.412
C (-0.763, 3.375, 0.649)  -1.328
C (-0.267, 4.343, -0.393)  0.355
C (1.010, 4.236, -0.925)  -0.333
C (1.432, 5.111, -1.912)  -0.633
C (0.577, 6.094, -2.380)  -0.394
C (-0.702, 6.201, -1.858)  -0.719
C (-1.122, 5.329, -0.870)  -0.083
C (-0.194, -0.447, -1.386)  0.165
F (-0.037, -0.021, -2.663)  -0.419
C (0.394, -1.639, -1.025)  -1.220
H (4.920, -1.506, 2.297)  0.302
H (6.456, -0.977, 2.975)  0.358
H (6.351, -1.415, 1.269)  0.285
H (7.438, -3.194, 2.669)  0.332
H (5.953, -3.344, 3.606)  0.300
H (6.177, -3.842, 0.604)  0.310
H (6.243, -5.099, 1.839)  0.340
H (3.866, -3.269, 1.283)  0.250
H (3.947, -4.443, 2.598)  0.241
H (4.188, -5.104, -0.371)  0.340
H (4.220, -6.276, 0.947)  0.405
H (1.907, -5.589, 1.608)  0.380
H (1.994, -6.233, -0.039)  0.368
H (1.984, -3.894, -0.948)  0.283
H (0.602, -3.625, 1.760)  0.274
H (-0.576, -1.663, 2.204)  0.344
H (-1.593, 0.451, 1.524)  0.484
H (-0.912, 2.088, -1.718)  0.803
H (-3.210, 2.315, -2.135)  0.636
H (-2.641, -0.249, -2.935)  0.428
H (-4.924, -1.098, -2.798)  0.446
H (-6.580, 0.561, -1.992)  0.460
H (-6.003, -0.399, -0.642)  0.342
H (-5.427, 2.510, -1.273)  0.484
H (-7.232, 1.965, 0.326)  0.446
H (-6.110, 0.997, 1.289)  0.379
H (-5.874, 2.738, 1.157)  0.362
H (-3.716, 0.581, 0.323)  0.232
H (0.056, 2.739, 1.005)  0.396
H (-1.198, 3.913, 1.497)  0.517
H (1.678, 3.467, -0.564)  0.364
H (2.429, 5.022, -2.318)  0.377
H (0.906, 6.775, -3.151)  0.382
H (-1.371, 6.967, -2.221)  0.388
H (-2.118, 5.408, -0.458)  0.462
H (0.945, -2.190, -1.769)  0.455

---

[2]
The following is a quantum chemistry calculation of a structure of composition C30H36GeN3O3V, from the OMol25 dataset.
└──
I have had the opportunity to be at home in Iowa a lot this fall. I’ve been coaching my little sister Shelby from afar which makes it challenging at times but I was able to see her win her first individual state title in cross country! It was so exciting and helped me see what she needed to work on for the next month leading up to Nike Cross Country Nationals. Thanksgiving at home was adventurous as always, I had my training buddy Shelbo so that was always nice especially for my 17 mile long run. My sister Ryann had her baby a month early!! I told her it was because she heard I was coming home and just couldn’t wait to meet me. Maya is healthy and got to go home after about 5 days!
While I’ve been away my team in Flag are hard at work preparing for their next big task; Club Cross Country Nationals. I’m so excited for them, they inspire me daily with how hard they are working and how much stronger they individually are getting by the week. Watch out for them on December 11th!